### Material
/*
NaTiTl2, relaxed, DFT PBE; DOS(E_F) = 3.73 states/eV/f.u.; total magnetization = 0.000 μB per atom; energy relative to the elements = 341 meV per atom; calculated density = 7.68 g/cm³; SG = R-3m, No. 166
1.0
1.635 0.944 11.188
-1.635 0.944 11.188
0.000 -1.888 11.188
Na Ti Tl
1 1 2
direct
0.000 0.000 0.000 Na
0.500 0.500 0.500 Ti
0.416 0.416 0.416 Tl
0.584 0.584 0.584 Tl
*/
### Wanted
The reader should count the lines further above that contain the word "R-3m" and give the number alone.
### Written answer
1